Happy New Year
H is for a Hopeful Heart and a Healthy vision of our future by acknowledging those Habits that prevent us from our lasting freedom, joy, and Happiness, and releasing them.
+++
Record 1
A molecular structure, C49H50Cl4IN3O3SSiW. Source: the OMol25 dataset; level of theory: wB97M-V/def2-TZVPD.

## Properties
Charge: +2

```
113
Properties=species:S:1:pos:R:3:mulliken_charge:R:1
W -0.42 -0.25 0.23 0.21
O -0.04 -2.03 -0.14 0.09
C 0.69 -2.84 -1.08 2.84
C 1.44 -1.84 -1.96 -2.09
C 0.54 -0.83 -2.63 0.46
C 0.55 -0.74 -4.01 -0.91
C -0.27 0.17 -4.66 -1.44
C -1.08 0.98 -3.90 -0.66
C -1.07 0.87 -2.52 0.61
C -1.94 1.78 -1.69 -1.13
C -1.12 2.61 -0.68 2.89
O -0.67 1.58 0.24 0.76
C -1.94 3.64 0.06 -0.57
C -3.30 3.43 0.29 -0.57
C -4.06 4.37 0.97 -0.75
C -3.47 5.54 1.43 -0.65
C -2.11 5.75 1.23 -0.96
C -1.36 4.81 0.55 -0.24
C 0.07 3.26 -1.37 -0.80
C 1.35 3.14 -0.86 -0.16
C 2.43 3.71 -1.52 -0.97
C 2.24 4.39 -2.71 -0.79
C 0.95 4.56 -3.19 -0.93
C -0.13 4.01 -2.52 -0.20
N -0.26 -0.02 -1.89 0.94
C 1.64 -3.68 -0.24 -0.21
C 1.09 -4.42 0.81 0.32
C 1.90 -5.21 1.61 -1.00
C 3.27 -5.28 1.37 -0.73
C 3.81 -4.56 0.32 -1.09
C 3.00 -3.76 -0.48 -0.40
C -0.27 -3.67 -1.91 0.49
C 0.08 -4.96 -2.31 -0.63
C -0.77 -5.70 -3.12 -0.83
C -1.97 -5.16 -3.55 -0.99
C -2.33 -3.88 -3.16 -0.93
C -1.48 -3.13 -2.36 0.12
H 1.96 -2.39 -2.74 0.92
H 2.18 -1.31 -1.36 0.05
H 1.19 -1.41 -4.57 0.62
H -0.26 0.24 -5.74 0.50
H -1.73 1.71 -4.36 0.62
H -2.64 1.16 -1.12 -0.88
H -2.52 2.44 -2.34 0.96
H -3.78 2.52 -0.06 0.22
H -5.12 4.20 1.13 0.50
H -4.06 6.28 1.95 0.44
H -1.64 6.65 1.59 0.45
H -0.30 4.99 0.39 0.45
H 1.46 2.69 0.12 1.53
H 3.43 3.65 -1.09 0.55
H 3.08 4.82 -3.24 0.45
H 0.78 5.14 -4.09 0.50
H -1.13 4.18 -2.89 0.45
H 0.03 -4.39 0.98 0.30
H 1.46 -5.78 2.42 0.50
H 3.90 -5.90 1.99 0.45
H 4.87 -4.61 0.12 0.48
H 3.46 -3.21 -1.29 0.50
H 1.01 -5.40 -1.98 0.53
H -0.48 -6.70 -3.42 0.49
H -2.63 -5.74 -4.18 0.44
H -3.26 -3.45 -3.50 0.55
H -1.76 -2.12 -2.08 0.18
Cl -2.00 0.92 5.89 -0.24
Si -1.34 1.60 4.10 0.02
Cl -2.65 0.84 2.67 0.13
Cl -1.45 3.62 4.03 -0.24
C -5.74 0.13 -0.91 -0.80
C -6.06 -1.07 -0.02 -0.70
C -4.91 -1.42 0.92 -0.24
S -3.49 -1.98 -0.03 0.55
O -2.50 -0.80 -0.03 -1.22
C -2.79 -3.27 0.98 -0.07
C -2.24 -2.89 2.36 1.18
C -3.26 -2.87 3.49 -1.74
H -6.55 0.32 -1.61 0.48
H -4.84 -0.03 -1.50 0.19
H -5.60 1.03 -0.31 0.15
H -6.31 -1.94 -0.63 0.36
H -6.93 -0.86 0.60 0.41
H -5.16 -2.21 1.62 0.56
H -4.57 -0.55 1.48 -0.12
H -2.01 -3.70 0.34 -0.59
H -3.59 -4.01 1.05 1.06
H -1.75 -1.91 2.29 -1.18
H -1.45 -3.61 2.59 0.53
H -3.83 -1.94 3.52 0.34
H -2.76 -2.97 4.46 0.43
H -3.97 -3.69 3.41 0.43
Cl 3.34 -2.67 7.34 -0.19
C 2.46 -1.61 6.29 0.34
C 1.28 -2.05 5.71 -0.87
C 0.59 -1.20 4.86 -0.06
C 1.07 0.08 4.57 0.20
C 0.34 0.99 3.62 1.25
C 2.26 0.49 5.16 -0.11
C 2.96 -0.34 6.02 -1.02
H 0.91 -3.04 5.94 0.48
H -0.34 -1.54 4.42 0.41
H 0.95 1.86 3.38 0.63
H 0.20 0.45 2.68 -1.78
H 2.65 1.48 4.95 0.50
H 3.88 -0.02 6.48 0.46
I 4.84 -1.78 3.18 0.16
C 3.60 -0.84 1.86 -1.18
C 3.92 0.15 0.94 -0.27
N 2.79 0.50 0.31 -0.37
N 1.74 -0.22 0.76 0.87
C 2.23 -1.04 1.69 -0.37
H 4.86 0.62 0.71 0.64
H 2.67 1.15 -0.45 0.23
H 1.59 -1.73 2.22 0.53
```

Record 2
+++
A is for Action. What is it you wish to Accomplish in this coming year? This is a good time to make a list of all those hopes, dreams, and Aspirations. Then make a list of what it would take to Accomplish them. Are you willing to do whatever Action it takes?
P is for Peace. We are the ones responsible for the Peace in our lives by what we allow our minds to focus on. A Peaceful mind can create a Peaceful world.
P is for Prosperity. Prosperity is not only about having riches and things. Prosperity is about knowing we are Prosperous in what we already have. Perhaps that means good health, a loving family, a beautiful day, freedom, loving, giving and receiving. “The mind is a garden; what we choose to grow there will determine our prosperity.” —Yung Pueblo
Y is for Yesterday. The past is gone—that was Yesterday. Letting go of those old stories and thoughts that we repeat to ourselves that do not serve our happiness. Yesterday does not exist and when we let go of Yesterday, we make room for the new.
N is for Now. Now is where all potential for creativity, love, happiness—all life exists. Living in the here and Now is living in the eternal breath of life.
E is for Example. We all have visions of how we think the world could be a better place. The key to living in that world we Envision is to be the Example we wish for others and the world.
W is for Wisdom. “God grant me the serenity to accept the things I cannot change; courage to change the things I can; and the WISDOM to know the difference.” (From the Serenity Prayer)
Y is for Yes. To face life with a big Yes. Letting go of phrases that hold us back from accomplishing our dreams and intentions. Phrases like I can’t or I won’t. Open up to the possibilities with Yes, I can or Yes, I will.
E is for Energy. Everything in our Experience is a form of Energy. This Energy is affected by the way we focus our thoughts and Emotions. It’s important to be clear about what we sincerely want in our lives and create a mind focused on positive Energy to create our desired outcome.
Calculated molecules, as found in the file:
┌──
Entry 1:
DFT (ωB97M-V with the def2-TZVPD basis set) results for a molecular structure, C5H7NO3 in a non-equilibrium geometry.

```
16
Properties=species:S:1:pos:R:3:forces:R:3
C 2.147 1.000 0.850 1.170 -2.985 -0.351
C 1.785 -0.059 0.157 -3.655 -0.479 -2.227
C -1.191 0.124 -0.533 -0.905 1.909 -0.196
C -1.407 -1.394 -0.587 -0.590 0.698 -0.902
C 0.198 -0.215 -0.907 4.405 -1.475 3.552
N 0.694 0.282 -2.187 1.376 0.768 -0.859
O 0.408 1.446 -2.445 -0.096 -0.609 -0.046
O 1.498 -0.401 -2.801 -0.838 0.246 0.260
O -0.032 -1.596 -0.845 1.115 -0.059 -1.483
H 3.089 0.787 1.298 0.794 0.348 0.744
H 1.655 1.840 1.176 -1.277 1.963 -0.126
H 2.254 -1.079 0.123 -0.294 1.375 -0.271
H -1.534 0.788 -1.354 -0.623 -0.619 0.578
H -1.354 0.660 0.430 0.187 -0.630 -0.679
H -1.580 -1.833 0.324 -0.903 -0.837 2.386
H -2.086 -1.860 -1.303 0.133 0.386 -0.381
```
Forces are in eV/Å.

Gap between HOMO and LUMO ... 0.3653 Ha
Lowest unoccupied orbital energy ... 0.02 eV
Relative energy (zero: lowest compared OMol25 entry of this formula, charge and spin) ... 738.5 kJ/mol
Calculated total energy ... -474.9677 hartree

=====

Entry 2:
DFT (ωB97M-V with the def2-TZVPD basis set) results for C5H7NO3S2 in the gas phase in a non-equilibrium geometry.

```
18
Properties=species:S:1:pos:R:3:forces:R:3
C 1.072 -1.327 -0.814 3.073 0.018 -1.129
C -0.325 -1.107 -0.726 -0.443 0.852 1.652
C 1.972 -1.031 0.176 -0.445 0.655 1.035
C -0.913 -0.294 0.211 0.539 -0.543 -0.262
C -0.189 0.654 1.120 2.698 1.013 -1.224
N 0.248 1.910 0.341 -1.028 -1.512 3.191
O -2.961 0.519 1.567 0.142 -0.706 -0.499
O -3.185 -1.502 0.093 -0.654 -0.415 -0.232
O -3.052 0.796 -0.824 3.458 1.636 3.206
S 1.476 -0.184 1.654 -1.002 -0.240 -0.715
S -2.649 -0.217 0.371 -0.040 1.215 0.193
H 1.500 -1.702 -1.806 -0.793 0.159 1.644
H -0.870 -1.750 -1.379 -0.898 0.057 -0.311
H 3.079 -1.255 0.267 -1.598 0.061 -0.735
H -0.750 0.951 2.021 0.438 -0.526 -0.415
H -3.660 0.461 -1.383 -3.321 -2.112 -2.994
H 0.029 1.663 -0.604 -0.480 1.171 -0.567
H -0.184 2.710 0.863 0.355 -0.782 -1.837
```
Forces are in eV/Å.

Gap between HOMO and LUMO ... 0.3003 Ha
SMILES ... N[C@@H]1SC=CC=C1S(=O)(=O)O
Lowest unoccupied orbital energy ... -0.49 eV
Relative energy (zero: lowest compared OMol25 entry of this formula, charge and spin) ... 26.1 kJ/mol
Calculated total energy ... -1271.5006 hartree

=====

Entry 3:
DFT (ωB97M-V with the def2-TZVPD basis set) results for 2 unconnected molecules or ions with the total composition C5H7NO4 in a non-equilibrium geometry.

```
17
Properties=species:S:1:pos:R:3:forces:R:3
C -0.360 0.903 1.421 -0.111 0.050 0.212
C 0.747 0.422 0.507 -0.965 -0.369 0.216
O 0.951 -1.014 0.630 -0.034 -0.296 -1.426
C 0.778 -1.205 -0.803 2.347 -0.216 0.818
O 1.287 -2.049 -1.468 -1.371 0.726 0.852
C 0.332 0.248 -0.997 0.968 -0.028 -0.293
O -1.001 0.351 -1.329 -0.489 0.480 -0.012
C 2.011 1.152 0.740 0.503 0.197 -0.165
N 2.994 1.733 0.909 -0.806 -0.422 -0.127
H -1.259 0.296 1.256 0.220 0.219 -0.043
H -0.065 0.797 2.472 -0.002 0.092 -0.271
└──
A is for Allowing. We are very busy beings, “thinking” we know how others should be—and how we can correct them, if only they would listen to us. Each of us is a different expression of One Living Energy Source; and in that difference we come from our own unique individual perspective. Unless I am walking in their shoes so to speak, I choose to Allow them to express their uniqueness without placing my limitations upon them.
Quantum chemistry results from another source follow
********
106
Properties=species:S:1:pos:R:3:forces:R:3 method="wB97M-V/def2-TZVPD" total_charge=+1 largest_force_ev_per_a=5.34 homo_lumo_gap_ev=5.6
C -1.92569 6.53232 0.44216 0.4 0.2 -0.1
N -1.81348 5.09351 0.34753 -0.6 -0.5 0.0
C -2.88622 4.27248 0.52789 -1.3 0.4 0.3
O -4.04666 4.63444 0.76480 2.0 -0.7 -0.5
C -2.38432 2.82175 0.39922 -0.1 0.3 0.6
C -3.12375 2.04051 -0.68525 -0.1 0.1 -0.2
C -4.56630 1.77821 -0.33158 -0.1 -0.2 -0.1
C -5.55828 2.11091 -1.25612 -0.1 0.1 0.4
C -6.90426 1.94719 -0.92721 0.1 -0.3 0.2
C -7.25533 1.40594 0.31895 0.2 0.1 -0.1
C -6.25644 1.03203 1.23015 0.1 0.0 -0.3
C -4.90819 1.20764 0.89868 -0.5 0.2 -0.2
N -0.96913 2.98769 0.12369 -0.3 0.7 -0.3
C -0.17532 1.88515 -0.03612 3.2 0.0 0.7
C 1.22816 1.84795 0.04985 -4.7 1.5 0.4
C 2.09450 0.73240 -0.15590 0.9 -2.1 -4.8
C 3.56436 1.17931 -0.15622 1.1 -0.5 -0.4
C 4.61361 0.31172 0.22354 -0.2 0.1 0.2
C 5.94885 0.68585 0.26773 0.2 0.4 0.0
C 6.33377 1.99903 -0.01398 -0.1 -0.2 -0.1
C 7.72105 2.40797 0.07409 2.4 0.6 0.1
N 8.85278 2.71533 0.13782 -2.9 -0.7 -0.1
C 5.34742 2.89736 -0.42440 -0.2 -0.3 0.1
C 4.01559 2.49687 -0.52663 -0.6 -0.7 0.1
C -0.53058 4.41181 0.19375 0.0 -0.4 -0.1
C 0.15971 4.86829 -1.10181 -0.2 -0.1 0.1
C 0.36322 4.70760 1.41186 -0.1 0.1 0.0
H -2.96400 6.81832 0.61045 0.1 -0.3 0.0
H -1.31373 6.91528 1.26407 -0.1 0.0 0.0
H -1.57597 6.99968 -0.48233 -0.1 0.0 0.0
H -2.53044 2.34030 1.39060 0.0 0.2 -0.4
H -3.08199 2.62436 -1.61934 0.1 -0.2 0.2
H -2.60219 1.08954 -0.86415 -0.1 0.2 0.0
H -5.25634 2.54371 -2.21311 -0.2 -0.1 0.3
H -7.67410 2.23956 -1.64417 0.2 -0.1 0.3
H -8.30847 1.28519 0.58454 0.4 0.0 -0.1
H -6.51807 0.60392 2.20166 0.0 0.2 -0.4
H -4.11839 0.93655 1.60496 -0.3 0.0 -0.1
H -0.70823 0.93611 -0.15154 0.0 0.4 -0.1
H 1.72287 2.83458 0.20843 -0.3 -1.5 -0.1
H 1.63368 0.04650 -1.10245 1.5 3.8 -0.8
H 4.39377 -0.69397 0.54853 0.1 0.2 -0.2
H 6.71079 -0.03838 0.53352 -0.1 0.0 0.1
H 5.65008 3.90905 -0.67510 -0.2 -0.1 0.0
H 3.31913 3.23187 -0.92841 0.1 -0.2 0.2
H -0.53846 4.79945 -1.94984 0.3 0.0 0.3
H 0.47902 5.91320 -0.98330 0.0 -0.3 -0.1
H 1.03606 4.23994 -1.29839 -0.2 0.2 -0.1
H -0.23318 4.66468 2.33518 0.2 0.0 -0.3
H 1.18081 3.98636 1.49161 -0.2 0.3 0.1
H 0.78896 5.71367 1.29123 -0.1 -0.3 0.2
C 2.82834 -2.36779 1.67597 0.2 0.0 0.1
O 2.42060 -1.13562 1.02920 0.2 -2.3 1.9
C 1.90858 -1.09689 -0.27472 1.0 -0.8 3.6
C 2.86892 -1.86684 -1.24531 -0.6 1.3 -0.5
C 3.03326 -3.25450 -1.21325 0.1 0.0 0.0
C 3.93378 -3.85764 -2.10084 -0.2 0.0 0.2
C 4.65430 -3.10001 -3.02273 0.0 0.0 0.2
C 4.45295 -1.72439 -3.06526 -0.1 0.0 -0.1
C 3.52906 -1.12031 -2.21729 0.3 -0.2 -0.3
C 0.52880 -1.77492 -0.26181 -0.3 -0.4 -0.4
N 0.02164 -2.54544 -1.24815 -1.1 -0.1 1.3
C 0.39044 -2.92289 -2.56762 -0.1 0.2 -1.3
C 0.09970 -4.23503 -2.94177 0.6 -0.4 -0.1
C 0.54940 -4.70206 -4.17890 -0.2 0.4 0.1
C 1.18468 -3.81654 -5.05838 0.0 0.0 0.1
C 1.33837 -2.46800 -4.71773 -0.2 -0.1 0.0
C 0.87813 -2.00019 -3.48853 0.2 -0.2 0.3
N -1.12153 -3.19280 -0.84223 -0.1 1.2 0.6
C -1.36373 -2.77417 0.37130 0.9 0.5 -0.1
********
R is for Response. In any given situation, our Response to it will determine how we feel inside, mentally, emotionally, and physically. If we can take a deep breath when in a challenging situation and take the time to Respond at the most peaceful place we can find within, then we will meet the challenge more easily.